Source
- - -
(1)
The following is a DFT calculation (ωB97M-V with the def2-TZVPD basis set) of C28H29CoIN6O5S2 as an isolated structure.

Values from the calculation:
Multiplicity: 2
HOMO (spin up / spin down) in eV: -7.896 / -8.011
⟨S²⟩: 0.756
LUMO (spin up / spin down) in Ha: -0.0080 / -0.0078
Energy above the lowest of the compared OMol25 structures with the same formula, charge and spin in kcal per mole: 0.0

Cartesian coordinates (Å):
Co 0.590 -0.013 -0.041
C -0.474 3.944 -1.278
C -0.155 2.706 -0.512
N 0.663 1.805 -0.891
N 1.250 1.966 -2.157
C 2.561 2.366 -2.219
N 3.219 1.847 -3.286
S 3.221 3.462 -1.171
C -0.781 2.458 0.815
C -1.740 3.297 1.355
C -2.254 2.993 2.610
C -1.766 1.893 3.287
C -0.793 1.111 2.673
N -0.334 1.377 1.460
H 0.265 4.113 -2.053
H -0.499 4.806 -0.614
H -1.461 3.839 -1.738
H 0.986 1.178 -2.743
H 2.963 0.922 -3.606
H 4.193 2.090 -3.343
H -2.086 4.166 0.815
H -3.014 3.623 3.053
H -2.124 1.634 4.273
H -0.336 0.260 3.161
C -6.089 0.446 -1.169
O -5.868 -0.384 -0.042
C -4.592 -0.697 0.265
C -4.441 -1.511 1.416
C -3.189 -1.877 1.797
C -2.021 -1.474 1.096
C -0.740 -1.993 1.470
C -0.547 -2.899 2.657
O 0.303 -1.773 0.810
C -2.177 -0.622 -0.054
O -1.210 -0.145 -0.749
C -3.500 -0.277 -0.451
H -7.163 0.594 -1.229
H -5.734 -0.031 -2.085
H -5.593 1.412 -1.049
H -5.323 -1.825 1.954
H -3.085 -2.515 2.663
H -1.254 -2.719 3.463
H 0.468 -2.737 3.013
H -0.645 -3.941 2.342
H -3.584 0.350 -1.326
C -0.072 -2.201 -5.216
N -0.422 -2.674 -3.893
C -1.434 -3.578 -3.594
C -1.440 -3.739 -2.257
N -0.431 -2.943 -1.759
C 0.183 -2.271 -2.752
S 1.440 -1.161 -2.560
H -0.273 -2.987 -5.940
H 0.986 -1.953 -5.227
H -0.645 -1.310 -5.473
H -2.043 -4.022 -4.360
H -2.062 -4.348 -1.627
H -0.198 -2.748 -0.791
I 8.818 0.625 3.243
C 6.795 0.390 2.763
C 6.321 0.874 1.553
C 4.980 0.710 1.235
C 4.119 0.082 2.127
C 4.608 -0.383 3.340
C 5.950 -0.242 3.662
C 2.653 -0.077 1.809
O 1.859 -0.317 2.720
O 2.372 0.064 0.564
H 6.987 1.375 0.864
H 4.589 1.080 0.297
H 3.920 -0.854 4.030
H 6.332 -0.614 4.603

Löwdin atomic charge list, values in e, 2 entries:
1 Co 0.49
2 C -0.01



(2)
The following is a DFT calculation (ωB97M-V with the def2-TZVPD basis set) of one molecule with the formula C9H8N2O.

Values from the calculation:
SMILES: C/N=C(/N=C=O)c1ccccc1
HOMO in eV: -9.155
LUMO in Ha: 0.0192
Energy above the lowest of the compared OMol25 structures with the same formula, charge and spin in kcal per mole: 70.6

Cartesian coordinates (Å):
C 0.939 3.671 0.215
C -2.672 -1.299 -0.193
C -2.107 -0.905 -1.402
C -1.991 -1.138 0.984
C -0.895 -0.255 -1.339
C -0.843 -0.333 1.062
C -0.258 0.107 -0.120
C 1.014 0.753 -0.082
C 2.911 -0.700 0.281
N 0.793 2.477 0.038
N 2.134 0.485 0.172
O 0.917 4.806 0.341
H -3.470 -1.962 -0.250
H -2.545 -1.184 -2.341
H -2.397 -1.521 1.976
H -0.476 0.124 -2.338
H -0.552 -0.021 2.043
H 3.500 -0.963 -0.554
H 2.258 -1.501 0.543
H 3.741 -0.644 0.963

Löwdin atomic charge list, values in e, 2 entries:
1 C -0.45
2 C -0.09



(3)
The following is a DFT calculation (ωB97M-V with the def2-TZVPD basis set) of C24H20Cl6N4O3ReSe as an isolated structure.

Values from the calculation:
Multiplicity: 2
HOMO (spin up / spin down) in eV: -13.501 / -13.813
⟨S²⟩: 0.838
Net charge: +2
LUMO (spin up / spin down) in Ha: -0.3141 / -0.2936
Energy above the lowest of the compared OMol25 structures with the same formula, charge and spin in kcal per mole: 41.1

Cartesian coordinates (Å):
Re -0.080 0.361 0.073
Cl -5.861 -3.478 2.154
C -4.387 -2.920 1.496
C -3.258 -3.760 1.485
C -2.055 -3.303 1.022
C -1.891 -1.975 0.556
O -0.707 -1.580 0.219
C -3.076 -1.159 0.464
C -3.068 0.042 -0.305
N -1.995 0.664 -0.675
C -1.981 1.604 -1.701
C -3.027 2.412 -2.104
C -2.859 3.285 -3.186
C -1.671 3.352 -3.867
C -0.582 2.539 -3.486
C 0.668 2.558 -4.134
C 1.664 1.725 -3.688
C 1.428 0.903 -2.584
N 0.277 0.870 -1.939
C -0.738 1.662 -2.385
C -4.294 -1.652 0.951
H -3.354 -4.769 1.847
H -1.186 -3.943 1.016
H -4.032 0.368 -0.689
H -3.959 2.410 -1.561
H -3.687 3.910 -3.478
H -1.546 4.038 -4.691
- - -

Brief
Could you duplicate the calculation results above exactly?

Reply
(1)
The following is a DFT calculation (ωB97M-V with the def2-TZVPD basis set) of C28H29CoIN6O5S2 as an isolated structure.

Values from the calculation:
Multiplicity: 2
HOMO (spin up / spin down) in eV: -7.896 / -8.011
⟨S²⟩: 0.756
LUMO (spin up / spin down) in Ha: -0.0080 / -0.0078
Energy above the lowest of the compared OMol25 structures with the same formula, charge and spin in kcal per mole: 0.0

Cartesian coordinates (Å):
Co 0.590 -0.013 -0.041
C -0.474 3.944 -1.278
C -0.155 2.706 -0.512
N 0.663 1.805 -0.891
N 1.250 1.966 -2.157
C 2.561 2.366 -2.219
N 3.219 1.847 -3.286
S 3.221 3.462 -1.171
C -0.781 2.458 0.815
C -1.740 3.297 1.355
C -2.254 2.993 2.610
C -1.766 1.893 3.287
C -0.793 1.111 2.673
N -0.334 1.377 1.460
H 0.265 4.113 -2.053
H -0.499 4.806 -0.614
H -1.461 3.839 -1.738
H 0.986 1.178 -2.743
H 2.963 0.922 -3.606
H 4.193 2.090 -3.343
H -2.086 4.166 0.815
H -3.014 3.623 3.053
H -2.124 1.634 4.273
H -0.336 0.260 3.161
C -6.089 0.446 -1.169
O -5.868 -0.384 -0.042
C -4.592 -0.697 0.265
C -4.441 -1.511 1.416
C -3.189 -1.877 1.797
C -2.021 -1.474 1.096
C -0.740 -1.993 1.470
C -0.547 -2.899 2.657
O 0.303 -1.773 0.810
C -2.177 -0.622 -0.054
O -1.210 -0.145 -0.749
C -3.500 -0.277 -0.451
H -7.163 0.594 -1.229
H -5.734 -0.031 -2.085
H -5.593 1.412 -1.049
H -5.323 -1.825 1.954
H -3.085 -2.515 2.663
H -1.254 -2.719 3.463
H 0.468 -2.737 3.013
H -0.645 -3.941 2.342
H -3.584 0.350 -1.326
C -0.072 -2.201 -5.216
N -0.422 -2.674 -3.893
C -1.434 -3.578 -3.594
C -1.440 -3.739 -2.257
N -0.431 -2.943 -1.759
C 0.183 -2.271 -2.752
S 1.440 -1.161 -2.560
H -0.273 -2.987 -5.940
H 0.986 -1.953 -5.227
H -0.645 -1.310 -5.473
H -2.043 -4.022 -4.360
H -2.062 -4.348 -1.627
H -0.198 -2.748 -0.791
I 8.818 0.625 3.243
C 6.795 0.390 2.763
C 6.321 0.874 1.553
C 4.980 0.710 1.235
C 4.119 0.082 2.127
C 4.608 -0.383 3.340
C 5.950 -0.242 3.662
C 2.653 -0.077 1.809
O 1.859 -0.317 2.720
O 2.372 0.064 0.564
H 6.987 1.375 0.864
H 4.589 1.080 0.297
H 3.920 -0.854 4.030
H 6.332 -0.614 4.603

Löwdin atomic charge list, values in e, 2 entries:
1 Co 0.49
2 C -0.01



(2)
The following is a DFT calculation (ωB97M-V with the def2-TZVPD basis set) of one molecule with the formula C9H8N2O.

Values from the calculation:
SMILES: C/N=C(/N=C=O)c1ccccc1
HOMO in eV: -9.155
LUMO in Ha: 0.0192
Energy above the lowest of the compared OMol25 structures with the same formula, charge and spin in kcal per mole: 70.6

Cartesian coordinates (Å):
C 0.939 3.671 0.215
C -2.672 -1.299 -0.193
C -2.107 -0.905 -1.402
C -1.991 -1.138 0.984
C -0.895 -0.255 -1.339
C -0.843 -0.333 1.062
C -0.258 0.107 -0.120
C 1.014 0.753 -0.082
C 2.911 -0.700 0.281
N 0.793 2.477 0.038
N 2.134 0.485 0.172
O 0.917 4.806 0.341
H -3.470 -1.962 -0.250
H -2.545 -1.184 -2.341
H -2.397 -1.521 1.976
H -0.476 0.124 -2.338
H -0.552 -0.021 2.043
H 3.500 -0.963 -0.554
H 2.258 -1.501 0.543
H 3.741 -0.644 0.963

Löwdin atomic charge list, values in e, 2 entries:
1 C -0.45
2 C -0.09



(3)
The following is a DFT calculation (ωB97M-V with the def2-TZVPD basis set) of C24H20Cl6N4O3ReSe as an isolated structure.

Values from the calculation:
Multiplicity: 2
HOMO (spin up / spin down) in eV: -13.501 / -13.813
⟨S²⟩: 0.838
Net charge: +2
LUMO (spin up / spin down) in Ha: -0.3141 / -0.2936
Energy above the lowest of the compared OMol25 structures with the same formula, charge and spin in kcal per mole: 41.1

Cartesian coordinates (Å):
Re -0.080 0.361 0.073
Cl -5.861 -3.478 2.154
C -4.387 -2.920 1.496
C -3.258 -3.760 1.485
C -2.055 -3.303 1.022
C -1.891 -1.975 0.556
O -0.707 -1.580 0.219
C -3.076 -1.159 0.464
C -3.068 0.042 -0.305
N -1.995 0.664 -0.675
C -1.981 1.604 -1.701
C -3.027 2.412 -2.104
C -2.859 3.285 -3.186
C -1.671 3.352 -3.867
C -0.582 2.539 -3.486
C 0.668 2.558 -4.134
C 1.664 1.725 -3.688
C 1.428 0.903 -2.584
N 0.277 0.870 -1.939
C -0.738 1.662 -2.385
C -4.294 -1.652 0.951
H -3.354 -4.769 1.847
H -1.186 -3.943 1.016
H -4.032 0.368 -0.689
H -3.959 2.410 -1.561
H -3.687 3.910 -3.478
H -1.546 4.038 -4.691